[Input]
The following is a PBE calculation of crystalline SmDy5YTm2 at its relaxed geometry, from Alexandria via LeMat-Bulk.

a = 5.584 Å, b = 10.344 Å, c = 10.520 Å
α = 90.00°, β = 90.00°, γ = 105.66°
Element x y z (fractional)
Dy: 0.983 0.966 0.525
Dy: 0.608 0.216 0.525
Dy: 0.478 0.956 0.738
Dy: 0.280 0.560 0.308
Tm: 0.890 0.780 0.237
Dy: 0.392 0.784 0.025
Y: 0.413 0.826 0.453
Sm: 0.200 0.400 0.012
Tm: 0.110 0.220 0.737
Dy: 0.522 0.044 0.238
Dy: 0.300 0.601 0.708
Tm: 0.887 0.773 0.818
Sm: 0.800 0.600 0.512
Tm: 0.113 0.227 0.318
Dy: 0.700 0.399 0.208
Y: 0.587 0.174 0.953
Dy: 0.720 0.440 0.808
Dy: 0.017 0.034 0.025

Calculated values
* DOS at the Fermi energy: 28.87 states/eV per cell
* E: -4.630 eV per atom

---

The following is a PBE calculation of crystalline Sm3Dy6Y2Tm at its relaxed geometry, from Alexandria via LeMat-Bulk.

a = 6.174 Å, b = 6.174 Å, c = 11.808 Å
α = 94.98°, β = 94.98°, γ = 119.96°
Element x y z (fractional)
Dy: 0.083 0.415 0.248
Sm: 0.500 0.500 0.500
Sm: 0.833 0.167 0.500
Dy: 0.750 0.750 0.248
Dy: 0.415 0.083 0.248
Sm: 0.167 0.833 0.500
Dy: 0.917 0.585 0.752
Y: 0.667 0.333 0.000
Dy: 0.250 0.250 0.752
Y: 0.333 0.667 0.000
Tm: 0.000 0.000 0.000
Dy: 0.585 0.917 0.752

Calculated values
* DOS at the Fermi energy: 16.16 states/eV per cell
* E: -4.912 eV per atom

---

The following is a PBE calculation of crystalline Sm6DyY2Tm3 at its relaxed geometry, from Alexandria via LeMat-Bulk.

a = 6.207 Å, b = 6.207 Å, c = 11.768 Å
α = 95.02°, β = 95.02°, γ = 119.98°
Element x y z (fractional)
Sm: 0.916 0.583 0.748
Sm: 0.417 0.084 0.252
Tm: 0.833 0.167 0.500
Sm: 0.248 0.248 0.748
Tm: 0.167 0.833 0.500
Sm: 0.084 0.417 0.252
Sm: 0.583 0.916 0.748
Y: 0.333 0.667 0.000
Sm: 0.752 0.752 0.252
Tm: 0.500 0.500 0.500
Dy: 0.000 0.000 0.000
Y: 0.667 0.333 0.000

Calculated values
* DOS at the Fermi energy: 14.13 states/eV per cell
* E: -4.922 eV per atom

---

The following is a PBE calculation of crystalline Sm2DyYTm5 at its relaxed geometry, from Alexandria via LeMat-Bulk.

a = 8.605 Å, b = 8.605 Å, c = 9.780 Å
α = 116.10°, β = 116.10°, γ = 90.00°
Element x y z (fractional)
Tm: 0.572 0.652 0.724
Sm: 0.883 0.617 0.000
Y: 0.750 0.750 0.500
Tm: 0.848 0.928 0.276
Dy: 0.250 0.750 0.500
Tm: 0.928 0.428 0.276
Tm: 0.428 0.348 0.276
Y: 0.250 0.250 0.500
Tm: 0.500 0.500 0.000
Tm: 0.652 0.152 0.724
Sm: 0.117 0.383 0.000
Tm: 0.348 0.848 0.276
Sm: 0.383 0.883 0.000
Dy: 0.750 0.250 0.500

[Request]
Please say how many lines of the contents earlier on hold the word "relaxed", as a bare number.

[Outcome]
4